The three kinds of people in the world [NSFW]

Hello again, fellow readers and fixers! Now then, here’s a different take on our usual articles – the three kinds of people in the world. People often talk about what these are when referring to all kinds of topics. Whether it’s about business & office culture, psychology, or just life’s lessons in general. So how, and why do people come up with their ideas of what they are? And what about our take on the three kinds of people in this world? Well, let’s dig in!

Oh, and just to let you know before we begin, we have a NSFW warning in place for this article. It contains explicit language and material which may not be suitable for younger readers. We advise you to exercise viewer discretion before you continue to read through the article.

Attached: data records =
=====
PBE-GGA Pu2Mg3Sn3, relaxed; magnetic moment = 11.5 μB per formula unit; final energy = -47.56 eV/cell; energy relative to the elements = -25.40 kJ/mol of atoms
1.0
4.745 0.000 0.000
0.000 4.635 0.000
0.000 0.000 8.946
Pu Mg Sn
2 3 3
Cartesian
0.000 0.000 6.665
0.000 0.000 2.281
2.373 2.318 6.731
2.373 2.318 2.215
2.373 0.000 0.000
2.373 0.000 4.473
0.000 2.318 0.000
0.000 2.318 4.473

PBE-GGA PuMgSn, relaxed; magnetic moment = 6.3 μB per formula unit; final energy = -39.65 eV/cell; energy relative to the elements = 3.28 kJ/mol of atoms
1.0
-1.596 0.399 3.314
-3.330 -0.449 -1.550
3.195 -11.371 0.844
Pu Mg Sn
2 2 2
Cartesian
-2.370 -1.477 1.102
0.639 -9.943 1.506
0.419 -6.532 0.989
-2.151 -4.888 1.619
0.219 -3.403 0.515
-1.950 -8.017 2.092

Among the records above, which one has the highest energy relative to the elements? PuMgSn

Number 1 is which compound? Pu2Mg3Sn3

~~~~~

# 1
Material: NdTeC
Method: DFT, PBE
State: optimized geometry

Lattice parameters (Å, degrees): 4.143 6.565 7.850 128.60 90.00 108.39
Fractional positions:
Te 0.696 0.393 0.694
Te 0.304 0.607 0.306
C 0.513 0.025 0.935
C 0.487 0.975 0.065
Nd 0.991 0.981 0.253
Nd 0.009 0.019 0.747

The calculation puts the uncorrected formation energy at -13.30 kcal/mol of atoms.

# 2
Material: LaTaW2
Method: DFT, PBE
State: optimized geometry

Lattice parameters (Å, degrees): 3.202 4.910 4.887 90.00 90.00 90.00
Fractional positions:
Ta 0.000 0.500 0.500
La 0.500 0.000 0.500
W 0.000 0.000 0.000
W 0.500 0.500 0.000

Its energy above the most stable polymorph in this dataset is 0.382 eV/atom.
=====

Who are those three kinds of people anyway?

Well, it depends on who you ask, and what it’s all about! Here are some examples. In a TV interview, Warren Buffett referred to these people about the 2008 financial crash as “innovators, imitators and idiots”. The innovators see opportunities that others don’t, and come up with fresh new ideas. Then the imitators come along, and copy the innovators’ ideas. Sometimes they improve upon the original ideas; other times they make them worse. And then you have the idiots who screw up the innovations they use through greed.

Here the entry breaks off for records of crystals:
~~~
(1)
A geometry-optimized ScZnCo2Ge2 structure. Source: Alexandria, functional PBE-GGA.

The structure in CIF format:
```
data_ScZnCo2Ge2
_cell_length_a 4.0253
_cell_length_b 4.0253
_cell_length_c 6.2494
_cell_angle_alpha 90.00
_cell_angle_beta 90.00
_cell_angle_gamma 120.00
_symmetry_space_group_name_H-M 'P -3 m 1'
_symmetry_Int_Tables_number 164
_symmetry_space_group_name_Hall '-P 3 2"'
loop_
_atom_site_label
_atom_site_type_symbol
_atom_site_fract_x
_atom_site_fract_y
_atom_site_fract_z
Sc1 Sc 0.0000 0.0000 0.0000
Zn1 Zn 0.0000 0.0000 0.5000
Co1 Co 0.3333 0.6667 0.6467
Ge1 Ge 0.3333 0.6667 0.2546
```

E   -5.590 eV/atom
Total magnetic moment   0.00 μB per cell
Density of states at the Fermi level   0.659 states/eV/atom

(2)
A geometry-optimized Sc2ZnCo5Ge2 structure. Source: Alexandria, functional PBE-GGA.

The structure in CIF format:
```
data_Sc2ZnCo5Ge2
_cell_length_a 9.102
_cell_length_b 9.102
_cell_length_c 3.331
_cell_angle_alpha 90.00
_cell_angle_beta 90.00
_cell_angle_gamma 90.00
_symmetry_space_group_name_H-M 'P 4/m b m'
_symmetry_Int_Tables_number 127
_symmetry_space_group_name_Hall '-P 4 2ab'
loop_
_atom_site_label
_atom_site_type_symbol
_atom_site_fract_x
_atom_site_fract_y
_atom_site_fract_z
Sc1 Sc 0.172 0.328 0.000
Zn1 Zn 0.000 0.000 0.000
Co1 Co 0.000 0.500 0.500
Co2 Co 0.064 0.796 0.500
Ge1 Ge 0.127 0.627 0.000
```

E   -6.169 eV/atom
Total magnetic moment   0.00 μB per cell
Density of states at the Fermi level   0.418 states/eV/atom

(3)
A geometry-optimized Co3GeSe structure. Source: Alexandria, functional PBE-GGA.

The structure in CIF format:
```
data_Co3GeSe
_cell_length_a 4.357
_cell_length_b 4.357
_cell_length_c 4.357
_cell_angle_alpha 90.00
_cell_angle_beta 90.00
_cell_angle_gamma 90.00
_symmetry_space_group_name_H-M 'P m -3 m'
_symmetry_Int_Tables_number 221
_symmetry_space_group_name_Hall '-P 4 2 3'
~~~

Sometimes, people poke fun at the three kinds of people concept in some way. For example, George Carlin refers to them as “those who can count, and those who cannot”. Those who don’t get the joke would think that there really are only two kinds of people in the world!

Oh, and what if I told you that they consist of flannellers, liars and bullshitters? Basically, flannellers are people who talk in an indirect and evasive manner. They may use flattering language to make themselves (or other people) appear better than they actually are. Or use a mix of truths and half-truths to make what they say seem more palatable than it actually is. Liars know what the truth is, and deliberately deceive others to stop them from finding out about it. And as for the bullshitters? Well, they just spread misinformation everywhere without a care as to what the truth is!

These crystal structures were left in the article by mistake
~~~
# 1
Here is a geometry-optimized NaGa2Te structure from the Alexandria database. Energies are from GGA-PBE.

Calculated values
The value obtained for the total magnetic moment is 0.000 μB/atom. For the uncorrected formation energy, the calculation gives -0.219 eV per atom. As for the space group: I-42d. The total energy comes out at -0.10464 Ha/atom.

```
NaGa2Te
1.0
-4.224 4.224 2.991
4.224 -4.224 2.991
4.224 4.224 -2.991
Na Ga Te
2 4 2
direct
0.000 0.000 0.000
0.750 0.250 0.500
0.148 0.625 0.023
0.375 0.398 0.523
0.602 0.125 0.977
0.875 0.852 0.477
0.250 0.750 0.500
0.500 0.500 0.000
```

***

# 2
Here is a geometry-optimized Na2GaTe4 structure from the Alexandria database. Energies are from GGA-PBE.

Calculated values
The value obtained for the total magnetic moment is 0.000 μB/atom. For the uncorrected formation energy, the calculation gives -0.138 eV per atom. As for the space group: I4/mmm. The total energy comes out at -0.10077 Ha/atom.

```
Na2GaTe4
1.0
-2.813 2.813 7.654
2.813 -2.813 7.654
2.813 2.813 -7.654
Na Ga Te
2 1 4
direct
0.122 0.122 0.000
0.878 0.878 0.000
0.500 0.500 0.000
0.000 0.500 0.500
0.328 0.328 0.000
0.500 0.000 0.500
0.672 0.672 0.000
```

***

# 3
Here is a geometry-optimized NaGa2Te structure from the Alexandria database. Energies are from GGA-PBE.

Calculated values
The value obtained for the total magnetic moment is 0.000 μB/atom. For the uncorrected formation energy, the calculation gives 0.015 eV per atom. As for the space group: R-3m. The total energy comes out at -0.09604 Ha/atom.

```
NaGa2Te
1.0
2.021 1.167 9.454
-2.021 1.167 9.454
0.000 -2.333 9.454
Na Ga Te
1 2 1
direct
0.000 0.000 0.000
0.105 0.105 0.105
0.895 0.895 0.895
0.500 0.500 0.500
```

***

# 4
Here is a geometry-optimized Na2Ga2Te5 structure from the Alexandria database. Energies are from GGA-PBE.

Calculated values
The value obtained for the total magnetic moment is 0.000 μB/atom. For the uncorrected formation energy, the calculation gives -0.450 eV per atom. As for the space group: C2/m. The total energy comes out at -0.11618 Ha/atom.

```
Na2Ga2Te5
1.0
8.785 -2.191 0.000
8.785 2.191 0.000
-2.182 0.000 7.746
Na Ga Te
2 2 5
direct
0.099 0.099 0.363
0.901 0.901 0.637
0.369 0.369 0.216
0.631 0.631 0.784
0.214 0.214 0.746
0.416 0.416 0.928
0.500 0.500 0.500
0.584 0.584 0.072
0.786 0.786 0.254
```

=====

1.
## Dy2Ho2Tl (PBE-GGA)

Data for Dy2Ho2Tl after structural relaxation.

Unit cell a=8.347 b=6.338 c=8.819 alpha=70.31 beta=59.23 gamma=48.81
Fractional positions:
Dy: 0.667 0.369 0.717
Dy: 0.333 0.631 0.283
Tl: 0.834 0.333 0.000
Tl: 0.166 0.667 0.000
Ho: 0.394 0.000 0.883
Ho: 0.732 0.000 0.428
Ho: 0.268 0.000 0.572
Ho: 0.606 0.000 0.117
Dy: 0.964 0.369 0.283
Dy: 0.036 0.631 0.717

Computed properties:
ΔE_f in eV per atom: -0.05
Excess energy over the best structure of this formula in the dataset in eV/atom: 0.000
Size of the total moment in Bohr magnetons per cell: 0.00
Calculated volume in Å³/f.u.: 150.9

---

2.
## Dy4Ho6Tl (PBE-GGA)
~~~

And then there are these…what now?!

Oh yes, I refer to the infamous “dicks, pussies and assholes” speech from the 2004 film Team America: World Police. In the film, during Gary Johnson’s spell of depression, a fellow drunk in the bar offers him some words of advice. He explains the three kinds of people in terms of these three parts of the human anatomy! Gary took it to heart, and used it in his big speech to save the world from the bad guys!

But what’s the BitFIXit take on the three kinds of people?

Good question! We took a good long look at what’s going on in the world, and here’s what we came up with!

  • Renewers – These folks fix up, refurbish or restore everyday items, so that they work like new again. You see them at repair cafes, repair shops, and anywhere else they congregate. They do their best to stop otherwise viable things from filling up landfill sites.
  • Remixers – They take broken, worn and unwanted things and turn them into something totally different. Sometimes they come up with something completely new that others didn’t think of. Other times, they improve upon what’s already out there. But then, there’s a chance that their projects become an unmitigated disaster.
  • Revolters – And these are folks who just buy new, as any sign of usage or a life lived repulses them. You often find them at mainstream manufacturers, planning to make everything obsolete ASAP. All to get everyone to buy new, enrich companies/shareholders and shit up the planet in the process! So yeah, try to resist the temptation to become that kind of person.

And here’s our three kinds of people in the world! Maybe you have your own take on the whole concept, whether it’s some sage advice, or just something wacky. So remember, keep calm and keep on fixing – and remixing stuff for the ambitious folks!